Man jailed for attempt to cut open ATM that could have caused huge explosion

Man (24) had researched how to use dangerously explosive equipment on YouTube

Evan Stubbins (24) from Church Road, Croom, Co Limerick pleaded guilty to possessing various materials with the intention of endangering life or causing serious injury to property contrary to the Explosives Substances Act. Photograph: Facebook

A 24 year old man has been jailed for five years after he almost caused a massive explosion that could have killed him and blown up a filling station in Co Cork when using an oxy-propane torch to cut open a bank machine.

Evan Stubbins from Church Road, Croom, Co Limerick had gone on to YouTube to research mixing chemicals to use a blow torch, which he was going to light with a cigarette lighter, to cut open the ATM at the Maxol Garage at Carr's Hill, Carrigaline, Co Cork on August 2nd last.

-- Misplaced materials data --
# 1
A geometry-optimized CoNiTe3Pb structure. Source: the Open Quantum Materials Database, functional PBE.

It has space group Cmcm (No. 63), with a = 3.803 Å, b = 13.854 Å, c = 10.724 Å, α = 90.00°, β = 90.00° and γ = 90.00°. The inequivalent atoms are Co at (0.000, 0.000, 0.000), Ni at (0.000, 0.383, 0.250), Te at (0.000, 0.008, 0.250), Te at (0.000, 0.378, 0.014) and Pb at (0.000, 0.259, 0.750).

The magnetic moment is 0.00 μB/cell. For the total energy, the calculation gives -4.445 eV per atom. The energy relative to the lowest polymorph listed for this composition comes out at 0.000 eV per atom.


# 2
A geometry-optimized NdHoBi4Au2 structure. Source: the Open Quantum Materials Database, functional PBE.

It has space group P4mm (No. 99), with a = 4.639 Å, b = 4.639 Å, c = 9.952 Å, α = 90.00°, β = 90.00° and γ = 90.00°. The inequivalent atoms are Nd at (0.000, 0.000, 0.000), Ho at (0.500, 0.500, 0.539), Bi at (0.000, 0.000, 0.564), Bi at (0.000, 0.500, 0.271), Bi at (0.500, 0.500, 0.958) and Au at (0.000, 0.500, 0.757).

The magnetic moment is 0.02 μB/cell. For the total energy, the calculation gives -4.550 eV per atom.


# 3
A geometry-optimized Ta4ZnPN2 structure. Source: the Open Quantum Materials Database, functional PBE.

It has space group P-6m2 (No. 187), with a = 3.1734 Å, b = 3.1734 Å, c = 12.5951 Å, α = 90.00°, β = 90.00° and γ = 120.00°. The inequivalent atoms are Ta at (0.0000, 0.0000, 0.1402), Ta at (0.6667, 0.3333, 0.3284), Zn at (0.0000, 0.0000, 0.5000), P at (0.6667, 0.3333, 0.0000) and N at (0.3333, 0.6667, 0.2394).

The magnetic moment is 0.00 μB/cell. For the total energy, the calculation gives -9.451 eV per atom.


Copy entry 3 word for word.
A geometry-optimized Ta4ZnPN2 structure. Source: the Open Quantum Materials Database, functional PBE.

It has space group P-6m2 (No. 187), with a = 3.1734 Å, b = 3.1734 Å, c = 12.5951 Å, α = 90.00°, β = 90.00° and γ = 120.00°. The inequivalent atoms are Ta at (0.0000, 0.0000, 0.1402), Ta at (0.6667, 0.3333, 0.3284), Zn at (0.0000, 0.0000, 0.5000), P at (0.6667, 0.3333, 0.0000) and N at (0.3333, 0.6667, 0.2394).

The magnetic moment is 0.00 μB/cell. For the total energy, the calculation gives -9.451 eV per atom.


Which value of magnetic moment does entry 1 give?
0.00 μB/cell


Which of these has the highest magnetic moment?
NdHoBi4Au2


What is the formula in the second record?
NdHoBi4Au2

* * * * *

(1)

On Wednesday at Cork Circuit Criminal Court, Stubbins pleaded guilty to possessing oxy-propane cutting tool apparatus, a lighter and various tools with the intention of endangering life or causing serious injury to property on the date in question, contrary to the Explosives Substances Act.

Stubbins, who appeared in court by video link from Cork Prison, also pleaded guilty to two other charges of causing criminal damage to an AIB ATM and attempting to steal the contents of the ATM.


Det Sgt Chris Cahill of Togher Garda Station told how gardaí Jeremy O'Leary and Tim McSweeney were on patrol in the area about 2am on the day in question when they spotted a VW Passat parked near the filling station and a man tampering at the ATM with a screwdriver.

The man, Stubbins, raced back to his car and tried to flee but the gardaí snatched his car keys and quickly subdued him. They arrested him and when they searched his car, they found a con-saw, a large crow bar, a face mask and overalls.

Gardaí also found two cylinders, one containing oxygen and one containing propane, strapped to the back seat of the car, which Stubbins had connected.

**Materials data, as found in the file**
********
Entry from Alexandria via LeMat-Bulk: a relaxed Pm2Ni2Pt crystal (PBE-GGA).

Cell lengths 5.667, 5.667, 10.791 Å; angles 115.44, 115.44, 43.01 degrees
Sites, in units of the cell vectors:
Pm 0.095 0.095 0.397
Pm 0.307 0.307 0.857
Pm 0.693 0.693 0.143
Pm 0.905 0.905 0.603
Ni 0.042 0.042 0.919
Ni 0.378 0.378 0.399
Ni 0.622 0.622 0.601
Ni 0.958 0.958 0.081
Pt 0.417 0.417 0.183
Pt 0.583 0.583 0.817

## Properties
N(E_F) in states/eV per atom: 0.77
Density in g cm⁻³: 9.54
Total energy in eV for the cell shown: -60.1
Calculated formation energy in eV/atom: -0.588
M_tot in μB/f.u.: 0.0
********

Det Sgt Cahill told the court that gardaí had consulted with a mechanical engineering expert who said that mixing the gases in the wrong amount in a void in the ATM and then lighting the torch could have caused a massive explosion that could have killed Stubbins and destroyed the garage.

Explosion risk

At an earlier court hearing when Stubbins was first charged, it was stated that the filling station tanks contained 30,000 litres of petrol and diesel, and the resulting explosion would have destroyed houses some 200 metres away.

Det Sgt Cahill said that Stubbins was interviewed and he told gardaí that he planned to rob the ATM to pay off a drugs debt to unnamed individuals who had suggested the idea to him and had nominated the garage outside Carrigaline as a suitable target.

He said that Stubbins had no experience of using oxy-propane equipment but he had researched its use on a YouTube video and had driven down to Cork some time earlier to plan how he would carry out the robbery.

He said that Stubbins had a number of previous convictions for possession of drugs, possession of offensive weapons and handling stolen property, and had been given a three month suspended sentence for handling stolen property just a week earlier at Limerick District Court.

Defence barrister, Ray Boland BL pleaded for leniency, saying Stubbins, who was unemployed and mildly autistic, had entered an early plea and spared the State what could have been a complex trial while he also suggested the ham fisted nature of the plan was a mitigating factor.

However, Judge Sean O Donnabhain disagreed: "I'm taking that ignorance as an aggravating factor – this lad had no idea what he was at except what he learned from the internet – he was an explosion waiting to happen and I don't think his ignorance of the danger is a mitigating factor."

“What we have here was a mish-mash put together from surfing the internet, capable of causing huge damage to both himself and everyone else save for the guards coming on the scene – the danger here was so great that I consider ignorance of it an aggravating factor,” he said.

Informed that the maximum penalty under the Explosive Substances Act was 20 years in jail, Judge O Donnabhain said Stubbins should be given credit for the early guilty plea and taking that and his young age into account, he believed the appropriate sentence was one of five years in jail.

Barry Roche

........
[1]
Density functional theory data (PBE) for a geometry-optimized SrCdIn2Rh structure.

POSCAR file:
```
SrCdIn2Rh
1.0
5.147 0.000 0.000
0.000 5.147 0.000
0.000 0.000 5.267
Sr Cd In Rh
1 1 2 1
direct
0.000 0.000 0.000
0.500 0.500 0.000
0.000 0.500 0.500
0.500 0.000 0.500
0.500 0.500 0.500
```

**Symmetry**: P4/mmm, No. 123
**Distance to the lowest polymorph of the same formula**: 0.000 eV/atom

***

[2]
Density functional theory data (PBE) for a geometry-optimized Sr2CdIn2Rh5 structure.

POSCAR file:
```
Sr2CdIn2Rh5
1.0
10.693 0.000 0.000
0.000 10.693 0.000
0.000 0.000 3.572
Sr Cd In Rh
4 2 4 10
direct
0.171 0.329 0.000
0.329 0.829 0.000
0.671 0.171 0.000
0.829 0.671 0.000
0.000 0.000 0.000
0.500 0.500 0.000
0.130 0.630 0.000
0.370 0.130 0.000
0.630 0.870 0.000
0.870 0.370 0.000
0.000 0.500 0.500
0.059 0.804 0.500
0.196 0.059 0.500
0.304 0.559 0.500
0.441 0.304 0.500
0.500 0.000 0.500
0.559 0.696 0.500
0.696 0.441 0.500
0.804 0.941 0.500
0.941 0.196 0.500
```

**Symmetry**: P4/mbm, No. 127

***

[3]
Density functional theory data (PBE) for a geometry-optimized Sr2CdInRh2 structure.

POSCAR file:
```
Sr2CdInRh2
1.0
-3.175 7.505 3.185
3.175 -7.505 3.185
3.175 7.505 -3.185
Sr Cd In Rh
4 2 2 4
direct
0.174 0.244 0.418
0.326 0.744 0.071
0.674 0.256 0.929
0.826 0.756 0.582
0.250 0.250 0.000
0.750 0.750 0.000
0.250 0.750 0.500
0.750 0.250 0.500
0.109 0.738 0.847
........

Barry Roche

Barry Roche is Southern Correspondent of The Irish Times